• To do:
Now find "-1.49480" and "1.02338 0.34659" in the notes underneath, and copy these two lines and those between.

• Data:
-- begin --
(1)
Formula: C16H20I2NOSiZn
Source: the Open Molecules 2025 dataset
Level of theory: ωB97M-V with the def2-TZVPD basis set

- LUMO level (eV) = -4.30
- frontier orbital gap (eV) = 6.260
- HOMO energy (eV) = -10.6
- energy above the lowest of the compared OMol25 structures with the same formula, charge and spin (eV) = 0.000
- charge = +1
- spin multiplicity = 1

Element x y z (Å)
Zn: 0.89616 1.12227 0.15807
I: 3.71112 0.86716 0.02669
C: 3.89796 2.97477 0.06659
I: 1.94779 3.77645 -0.06724
H: 4.49271 3.29764 -0.77974
H: 4.34206 3.27696 1.00724
C: -3.22527 1.93922 1.56220
Si: -2.18833 2.23007 0.02679
C: -3.24069 2.38167 -1.51788
C: -1.35488 3.89923 0.25128
N: -0.94739 0.98799 -0.16090
C: -1.32366 -0.34937 -0.35931
C: -2.64612 -0.79098 -0.47840
C: -2.95577 -2.12519 -0.68691
C: -1.96068 -3.08228 -0.78282
C: -0.63488 -2.69277 -0.66019
C: -0.35329 -1.36009 -0.44946
O: 0.98323 -0.90725 -0.31795
C: 1.97010 -1.83611 0.04477
C: 2.82651 -2.30027 -0.93809
C: 3.84470 -3.17218 -0.57059
C: 3.98421 -3.56261 0.75189
C: 3.10854 -3.08740 1.72148
C: 2.08962 -2.21540 1.37270
H: -3.88088 2.79590 1.73369
H: -2.58411 1.83726 2.44098
H: -3.85466 1.05160 1.51118
H: -3.78664 3.32730 -1.50195
H: -3.97565 1.58902 -1.64546
H: -2.60346 2.38540 -2.40544
H: -2.14224 4.63987 0.40841
H: -0.81889 4.21730 -0.64749
H: -0.71137 3.95273 1.13171
H: -3.45584 -0.08312 -0.40293
H: -3.99440 -2.41527 -0.77171
H: -2.20465 -4.12202 -0.94708
H: 0.16242 -3.41958 -0.72482
H: 2.68697 -1.98663 -1.96446
H: 4.52136 -3.55181 -1.32402
H: 4.77581 -4.24428 1.03105
H: 3.21721 -3.40017 2.75088
H: 1.38529 -1.84504 2.10725



(2)
Formula: C3H9N2O2S
Source: the Open Molecules 2025 dataset
Level of theory: ωB97M-V with the def2-TZVPD basis set

- LUMO level (eV) = -4.59
- frontier orbital gap (eV) = 11.057
- HOMO energy (eV) = -15.6
- energy above the lowest of the compared OMol25 structures with the same formula, charge and spin (eV) = 4.244
- charge = +1
- spin multiplicity = 1

Element x y z (Å)
C: -1.54188 -1.43618 -0.57946
C: -0.09157 0.33319 0.36608
C: -0.52995 -0.39742 -0.85040
N: -1.63192 1.10535 -1.45390
N: -0.24769 1.82209 0.47630
O: -1.81839 3.41276 -0.76211
O: -2.44865 1.84390 0.96761
S: -1.75511 2.12173 -0.23709
H: -2.21369 -1.27738 0.23530
H: -0.86626 -2.35101 -0.35562
H: -2.01798 -1.80728 -1.49480
H: -0.46645 -0.22280 1.17125
H: 1.02338 0.34659 0.64563
H: 0.15119 -0.62855 -1.72630
H: -1.17947 1.52622 -2.25557
H: 0.70809 2.18646 0.03090
H: -0.43238 2.16762 1.43911



(3)
Formula: C4H17N2O2
Source: the Open Molecules 2025 dataset
Level of theory: ωB97M-V with the def2-TZVPD basis set

- LUMO level (alpha / beta) (eV) = -11.58 / -13.24
- frontier orbital gap (alpha / beta) (eV) = 6.503 / 4.843
- HOMO energy (alpha / beta) (eV) = -18.1 / -18.1
- expectation value of S² = 1.76
- energy above the lowest of the compared OMol25 structures with the same formula, charge and spin (eV) = 7.278
- charge = +2
- spin multiplicity = 2

Element x y z (Å)
C: 2.44529 -0.68835 0.21765
N: 2.13616 0.76500 0.33441
C: 1.06801 -1.46201 0.39176
N: 0.08766 -1.06054 -0.60116
C: -1.21058 -1.63464 -0.77126
C: -2.45647 -0.86157 -0.31013
H: 3.04990 -0.86785 1.09999
H: 2.79615 -0.95902 -0.78744
H: 3.02548 1.28587 0.27007
H: 1.49958 1.17497 -0.34987
H: 0.56215 -1.10590 1.31963
H: 1.30040 -2.52420 0.34409
H: 0.17845 -0.27417 -1.26291
H: -0.60718 4.89789 5.58193
H: -1.31510 -1.77798 -1.86365
H: -1.23184 -2.69558 -0.49616
H: -2.41981 -0.84858 0.78880
H: -3.34301 -1.48266 -0.44644
H: -2.56012 0.18247 -0.58331
H: -0.70803 5.51829 5.19186
H: -1.23251 2.13715 1.59620
O: -1.19775 1.38884 0.99007
H: -0.71234 1.63880 0.20108
H: -0.45861 2.14735 -2.28878
O: -0.42922 1.58892 -1.47849



(4)
Formula: C7H14IN2O3P
Source: the Open Molecules 2025 dataset
Level of theory: ωB97M-V with the def2-TZVPD basis set

- SMILES string = O=C1NCC[C@@H]1P(O)I.CNC(C)=O
- LUMO level (eV) = 0.13
- frontier orbital gap (eV) = 8.853
- HOMO energy (eV) = -8.7
- charge = 0
- spin multiplicity = 1

Element x y z (Å)
O: 2.02069 -4.59684 0.28677
-- stop --

• Written answer:
H: -2.01798 -1.80728 -1.49480
H: -0.46645 -0.22280 1.17125
H: 1.02338 0.34659 0.64563